-- Work order --
What is needed: repeat the whole of the contents further down word for word.

-- Entries --
/*
Entry i
Entry from the OMol25 dataset: a cluster of 8 separate species, C48H120N8O16 in total (the ωB97M-V functional and the def2-TZVPD basis).

The geometry in XYZ format:
```
192
C48H120N8O16, DFT the ωB97M-V functional and the def2-TZVPD basis
C -0.8696 -8.1237 -3.3645
O -1.8337 -9.1077 -3.6939
C -1.2812 -10.2970 -4.2222
C -2.3818 -11.0525 -4.9892
N -2.3149 -12.4318 -4.7372
C -3.1313 -13.3139 -5.4864
C -3.0492 -14.7150 -4.9194
O -3.6726 -15.5920 -5.8075
C -3.8553 -16.8261 -5.2267
H 0.0137 -8.5809 -2.8798
H -1.3056 -7.3592 -2.7405
H -0.4340 -7.7410 -4.3066
H -0.9047 -10.9116 -3.3733
H -0.3950 -10.0780 -4.8389
H -2.1256 -10.8311 -6.0338
H -3.3069 -10.5815 -4.6460
H -1.6335 -12.7440 -4.0815
H -2.9394 -13.3307 -6.5709
H -4.2017 -13.0617 -5.3804
H -3.5453 -14.7029 -3.9402
H -2.0143 -15.0716 -4.8043
H -3.0457 -17.0619 -4.5219
H -3.8924 -17.5883 -6.0011
H -4.7848 -16.8975 -4.6418
C -5.9285 8.9475 -1.0171
O -6.8832 7.9784 -0.7413
C -6.3926 6.6467 -0.8355
C -5.5310 6.3063 0.3506
N -5.2461 4.9241 0.4431
C -4.3231 4.2957 -0.4611
C -4.0573 2.8788 -0.0695
O -3.5825 2.8372 1.2638
C -2.8131 1.7406 1.4511
H -5.6723 8.9300 -2.0865
H -5.0466 8.8758 -0.3817
H -6.3979 9.9189 -0.8573
H -5.9527 6.4928 -1.8299
H -7.2845 6.0127 -0.8119
H -5.9258 6.7096 1.2766
H -4.5609 6.8407 0.2319
H -5.1033 4.5495 1.3679
H -3.3549 4.8369 -0.5604
H -4.7039 4.2251 -1.4940
H -3.4101 2.4611 -0.8475
H -5.0030 2.3202 -0.0387
H -3.2667 0.8018 1.0843
H -2.6040 1.5240 2.5000
H -1.8471 1.7948 0.9354
C 4.9061 2.7412 -1.1244
O 5.5682 3.6790 -1.9013
C 6.6755 4.1813 -1.1982
C 7.4027 5.1298 -2.0741
N 8.0697 4.4063 -3.1646
C 8.2627 5.2005 -4.3775
C 7.0914 5.2260 -5.3255
O 6.6511 3.9771 -5.7492
C 7.5177 3.4556 -6.7132
H 3.8977 2.5859 -1.5103
H 4.7613 3.0544 -0.0809
H 5.4163 1.7666 -1.1192
H 7.3558 3.3556 -0.9366
H 6.3163 4.6648 -0.2927
H 8.1180 5.6876 -1.4681
H 6.6318 5.7927 -2.5025
H 7.5413 3.5638 -3.3685
H 9.1628 4.8027 -4.8696
H 8.5596 6.2124 -4.0883
H 7.3129 5.8653 -6.1962
H 6.2643 5.7713 -4.8547
H 8.4568 3.9973 -6.8475
H 7.0264 3.4179 -7.6931
H 7.7892 2.4215 -6.4881
C -2.3694 -4.3844 -4.3398
O -2.2448 -2.9681 -4.3552
C -1.6339 -2.4668 -3.2249
C -1.3734 -0.9650 -3.3733
N -0.2963 -0.4326 -2.5557
C -0.4115 -0.5255 -1.1086
C 0.5489 0.4182 -0.3888
O 0.1883 0.3615 0.9272
C 0.9608 1.1937 1.7680
H -2.6663 -4.6815 -5.3424
H -3.1440 -4.6635 -3.6186
H -1.3969 -4.8429 -4.1201
H -0.6441 -2.9406 -3.0865
H -2.2039 -2.5903 -2.2857
H -2.2708 -0.3482 -3.2235
H -1.1119 -0.7565 -4.4196
H 0.6126 -0.5905 -2.9732
H -0.1633 -1.5476 -0.7799
H -1.3902 -0.1557 -0.7903
H 0.4529 1.4287 -0.8284
H 1.6133 0.1830 -0.5607
H 0.7781 2.2470 1.4746
H 2.0500 1.0538 1.7798
H 0.6319 1.1103 2.8064
C -3.7912 -2.6033 0.4286
O -4.8655 -3.1792 1.0882
C -5.3709 -2.3669 2.1214
C -6.0598 -3.2164 3.1766
N -6.9377 -2.3428 4.0160
C -7.9069 -3.0532 4.8110
C -8.7450 -2.1330 5.6858
O -8.2508 -2.1530 7.0034
C -8.9800 -1.2970 7.9219
H -3.1386 -3.2715 -0.1315
H -3.1577 -1.9922 1.0834
H -4.1682 -1.8924 -0.3327
H -6.1860 -1.7345 1.7277
H -4.6729 -1.6822 2.6219
H -5.3416 -3.6612 3.8993
H -6.6050 -4.0321 2.7054
H -6.3957 -1.7181 4.5946
H -7.4487 -3.8543 5.4271
H -8.6297 -3.6357 4.2244
H -9.7627 -2.5718 5.6946
H -8.8831 -1.1312 5.2603
H -10.0486 -1.2750 7.6719
H -8.4881 -0.3201 7.9015
H -8.9445 -1.7369 8.9185
C 4.6336 1.4152 3.5973
O 3.7247 2.4209 3.2218
C 3.6691 3.5308 4.1250
C 2.7559 4.5641 3.5559
N 3.0309 4.8942 2.1567
C 1.8725 5.4205 1.4324
C 2.2242 5.6148 -0.0216
O 1.2741 6.2827 -0.7890
C -0.0230 5.7401 -0.7223
H 4.9159 0.8468 2.7162
H 4.1625 0.7205 4.3077
H 5.5384 1.8269 4.0630
H 4.6970 3.9182 4.2047
H 3.2877 3.2220 5.1072
H 3.0065 5.4880 4.0993
H 1.7126 4.2554 3.7229
H 3.5515 4.2414 1.5956
H 1.4501 6.2791 1.9682
H 1.0498 4.6697 1.4875
H 2.4514 4.6271 -0.4632
H 3.1810 6.1418 -0.0714
H -0.6825 6.4449 -1.2480
H -0.4287 5.7480 0.2962
H -0.1619 4.7732 -1.2208
C 1.7714 7.7434 8.0512
O 1.9088 6.8052 9.0905
C 0.7202 6.1372 9.3273
C 1.0472 4.8182 10.0009
N 1.5972 3.8433 9.0618
C 0.9627 2.5283 9.0089
C -0.4524 2.5377 8.5086
*/

-- Completed --
Entry i
Entry from the OMol25 dataset: a cluster of 8 separate species, C48H120N8O16 in total (the ωB97M-V functional and the def2-TZVPD basis).

The geometry in XYZ format:
```
192
C48H120N8O16, DFT the ωB97M-V functional and the def2-TZVPD basis
C -0.8696 -8.1237 -3.3645
O -1.8337 -9.1077 -3.6939
C -1.2812 -10.2970 -4.2222
C -2.3818 -11.0525 -4.9892
N -2.3149 -12.4318 -4.7372
C -3.1313 -13.3139 -5.4864
C -3.0492 -14.7150 -4.9194
O -3.6726 -15.5920 -5.8075
C -3.8553 -16.8261 -5.2267
H 0.0137 -8.5809 -2.8798
H -1.3056 -7.3592 -2.7405
H -0.4340 -7.7410 -4.3066
H -0.9047 -10.9116 -3.3733
H -0.3950 -10.0780 -4.8389
H -2.1256 -10.8311 -6.0338
H -3.3069 -10.5815 -4.6460
H -1.6335 -12.7440 -4.0815
H -2.9394 -13.3307 -6.5709
H -4.2017 -13.0617 -5.3804
H -3.5453 -14.7029 -3.9402
H -2.0143 -15.0716 -4.8043
H -3.0457 -17.0619 -4.5219
H -3.8924 -17.5883 -6.0011
H -4.7848 -16.8975 -4.6418
C -5.9285 8.9475 -1.0171
O -6.8832 7.9784 -0.7413
C -6.3926 6.6467 -0.8355
C -5.5310 6.3063 0.3506
N -5.2461 4.9241 0.4431
C -4.3231 4.2957 -0.4611
C -4.0573 2.8788 -0.0695
O -3.5825 2.8372 1.2638
C -2.8131 1.7406 1.4511
H -5.6723 8.9300 -2.0865
H -5.0466 8.8758 -0.3817
H -6.3979 9.9189 -0.8573
H -5.9527 6.4928 -1.8299
H -7.2845 6.0127 -0.8119
H -5.9258 6.7096 1.2766
H -4.5609 6.8407 0.2319
H -5.1033 4.5495 1.3679
H -3.3549 4.8369 -0.5604
H -4.7039 4.2251 -1.4940
H -3.4101 2.4611 -0.8475
H -5.0030 2.3202 -0.0387
H -3.2667 0.8018 1.0843
H -2.6040 1.5240 2.5000
H -1.8471 1.7948 0.9354
C 4.9061 2.7412 -1.1244
O 5.5682 3.6790 -1.9013
C 6.6755 4.1813 -1.1982
C 7.4027 5.1298 -2.0741
N 8.0697 4.4063 -3.1646
C 8.2627 5.2005 -4.3775
C 7.0914 5.2260 -5.3255
O 6.6511 3.9771 -5.7492
C 7.5177 3.4556 -6.7132
H 3.8977 2.5859 -1.5103
H 4.7613 3.0544 -0.0809
H 5.4163 1.7666 -1.1192
H 7.3558 3.3556 -0.9366
H 6.3163 4.6648 -0.2927
H 8.1180 5.6876 -1.4681
H 6.6318 5.7927 -2.5025
H 7.5413 3.5638 -3.3685
H 9.1628 4.8027 -4.8696
H 8.5596 6.2124 -4.0883
H 7.3129 5.8653 -6.1962
H 6.2643 5.7713 -4.8547
H 8.4568 3.9973 -6.8475
H 7.0264 3.4179 -7.6931
H 7.7892 2.4215 -6.4881
C -2.3694 -4.3844 -4.3398
O -2.2448 -2.9681 -4.3552
C -1.6339 -2.4668 -3.2249
C -1.3734 -0.9650 -3.3733
N -0.2963 -0.4326 -2.5557
C -0.4115 -0.5255 -1.1086
C 0.5489 0.4182 -0.3888
O 0.1883 0.3615 0.9272
C 0.9608 1.1937 1.7680
H -2.6663 -4.6815 -5.3424
H -3.1440 -4.6635 -3.6186
H -1.3969 -4.8429 -4.1201
H -0.6441 -2.9406 -3.0865
H -2.2039 -2.5903 -2.2857
H -2.2708 -0.3482 -3.2235
H -1.1119 -0.7565 -4.4196
H 0.6126 -0.5905 -2.9732
H -0.1633 -1.5476 -0.7799
H -1.3902 -0.1557 -0.7903
H 0.4529 1.4287 -0.8284
H 1.6133 0.1830 -0.5607
H 0.7781 2.2470 1.4746
H 2.0500 1.0538 1.7798
H 0.6319 1.1103 2.8064
C -3.7912 -2.6033 0.4286
O -4.8655 -3.1792 1.0882
C -5.3709 -2.3669 2.1214
C -6.0598 -3.2164 3.1766
N -6.9377 -2.3428 4.0160
C -7.9069 -3.0532 4.8110
C -8.7450 -2.1330 5.6858
O -8.2508 -2.1530 7.0034
C -8.9800 -1.2970 7.9219
H -3.1386 -3.2715 -0.1315
H -3.1577 -1.9922 1.0834
H -4.1682 -1.8924 -0.3327
H -6.1860 -1.7345 1.7277
H -4.6729 -1.6822 2.6219
H -5.3416 -3.6612 3.8993
H -6.6050 -4.0321 2.7054
H -6.3957 -1.7181 4.5946
H -7.4487 -3.8543 5.4271
H -8.6297 -3.6357 4.2244
H -9.7627 -2.5718 5.6946
H -8.8831 -1.1312 5.2603
H -10.0486 -1.2750 7.6719
H -8.4881 -0.3201 7.9015
H -8.9445 -1.7369 8.9185
C 4.6336 1.4152 3.5973
O 3.7247 2.4209 3.2218
C 3.6691 3.5308 4.1250
C 2.7559 4.5641 3.5559
N 3.0309 4.8942 2.1567
C 1.8725 5.4205 1.4324
C 2.2242 5.6148 -0.0216
O 1.2741 6.2827 -0.7890
C -0.0230 5.7401 -0.7223
H 4.9159 0.8468 2.7162
H 4.1625 0.7205 4.3077
H 5.5384 1.8269 4.0630
H 4.6970 3.9182 4.2047
H 3.2877 3.2220 5.1072
H 3.0065 5.4880 4.0993
H 1.7126 4.2554 3.7229
H 3.5515 4.2414 1.5956
H 1.4501 6.2791 1.9682
H 1.0498 4.6697 1.4875
H 2.4514 4.6271 -0.4632
H 3.1810 6.1418 -0.0714
H -0.6825 6.4449 -1.2480
H -0.4287 5.7480 0.2962
H -0.1619 4.7732 -1.2208
C 1.7714 7.7434 8.0512
O 1.9088 6.8052 9.0905
C 0.7202 6.1372 9.3273
C 1.0472 4.8182 10.0009
N 1.5972 3.8433 9.0618
C 0.9627 2.5283 9.0089
C -0.4524 2.5377 8.5086